What is Artificial Intelligence, Machine Learning and Deep Learning?

Artificial Intelligence (AI) will and is currently taking over an important role in our lives – not necessarily through intelligent robots – but a learning algorithm is implemented in many intelligent technologies. Also, Machine Learning and Deep Learning are contemporary important terms in Computer Science. But those AI-related terms are often mixed up or falsely taken as synonyms, which will be clarified in the following.
The word “intelligence” alone is quite hard to define. One can try it through probably the most popular method: The Turing Test. It argues that intelligence can be identified behavior-based. For instance, regarding a chat-bot, one could say: If it is undistinguishable if the chat partner is a human or computer, the computer can be entitled as “intelligent”, even if it is just an imitation game without any awareness on the computer’s side. Consequently, intelligence has not necessarily something to do with human intelligence. The term Artificial Intelligence was primarily introduced by John McCarthy in 1956 offering a seminar with this as a title. He is therefore often referred to as the Father of AI. He stated: “The study is to proceed on the basis of the conjecture that every aspect of learning or any other feature of intelligence can in principle be so precisely described that a machine can be made to simulate it” and therefore sets a first stone in characterizing Artificial Intelligence. Initially, Machine Learning was not separated from the field of AI, which changed in the 1990s: The scientists started to tackle practical problems and went away from symbolic approaches regarding intelligence. The term of Deep Learning appeared in the year 2000 for the first time describing an Artificial Neural Network.
What is Artificial Intelligence?
Everyone might have some applications in mind coming from utopias presented in film and fiction or media. AI is basically working with a goal, which is trying to enable machines to make decisions. As already mentioned, the word intelligence can be misleading. Therefore, we now want to go back to the basics trying to bring the fundamental idea of these technologies to you by using examples. One popular example is using oranges and apples. The goal is to teach the machine what an apple and an orange look like and enabling it to separate them. Each fruit has certain features, which have to be told to the algorithm: An apple is red or green, whereas an orange is orange. It has a bumpy surface, while the apple is smooth. Translated to English, you implement in the algorithm: “If something is red or green, is round and has a smooth texture, you call it an apple” and “If something is orange, round and has a bumpy texture you call it an orange”. And this is the first step one must take when it comes to programming an AI-powered software. If the software now recognizes the mentioned features, it can give the output “orange” or “apple”. As a code it looks like this:
In this code certain features of oranges and apples are defined![]()
We can set: Artificial Intelligence means enabling a machine to think and mimic human behavior as it is now possible to take its own decisions.
What is Machine Learning?
The algorithm can now decide, whether it is seeing an orange or an apple, because we taught the software what the features of each fruit are and therefore enabled it to decide on its own. This is all fun and games until you cut the orange into eatable pieces. A human can still recognize the apple as apple, but how should the software be able to do it when it goes by an apple being round? It cannot. Now you give the software many pictures of apples in different angles, cut in pieces or in different color shades and add information: Those are all apples. Of course, it is the same with categorizing oranges. The software can now recognize apples and oranges in almost every shape – depending on the amount of data given. How much data is needed as minimum is depending on the application, but there are some good clues. At a bare minimum there should be around 1,000 examples. For average problems with mid complexity 10,000 to 100,000 examples are needed. Regarding the amount of data one can conject: The more the better. Machine Learning is therefore not only about decisions, but rather about being able to broaden your horizon.
We can set: Machine Learning is a statistical tool that enables the machine to learn from given data or experience.
What is Deep Learning?
As all important inventions of humankind, the field of AI also uses nature as a role model. Deep Learning (DL) is working through a Deep Neural Network orienting itself on the human brain. The Artificial Networks are built with different layers consisting of connected neurons. Each layer can have a special purpose, for example learning to detect patterns in the data, which enables it to recognize objects as the same ones. Another function can be looking for specific pre-set patterns, like a round, red or green object with a smooth surface and considering it as an apple. The information that this is called an apple must be given by human help. Whereas finding out that it is still an apple, even if one half is in the shadow, is something that can be learned unsupervised (without human help) by the algorithm through training data. One should mention that an Artificial Network is not nearly as complicated as a natural one and is not on a human-level intelligent or thinking human-like. Regarding the information processing there are no electrical or chemical impulses rather than a signal being zero or one. But it is indeed inspired by nature and transferred to technology: While a single neuron is not capable of doing something, a whole Neural Network is extremely complex. The behavior of the system is determined by the ways how the neurons are wired together. Each neuron reacts to the incoming signals in a specific way that can also adapt over time. DL is for example also applied in Language Processing. The Artificial Network analyses parts of the speech, like sentence structure, specific word-use or phrases. This allows the algorithm to do natural Language Processing (NLP) and puts the human-machine interaction on a whole new level. This means having a chat with a computer feels like talking to a human.
We can set: Deep Learning is enabling the machine to mimic the human brain through artificial neurons and therefore can identify important features on its own.
It is all connected
There is basically no common definition of Artificial Intelligence and sometimes it is hard to decide whether something can be called Artificial Intelligence or not. Each of the mentioned technologies are connected and part of each other: Deep Learning is a part of Machine Learning, which itself is a part of Artificial Intelligence.
Deep Learning is considered to be a part of Machine Learning, while it is a part of Artificial Learning![]()
Taking one step back, the word “intelligence” alone is quite hard to define. As explained previously, the Turing Test is a common method. It argues, that something can be identified as intelligent only due to its behavior. Regarding a chat-bot one could say that if it is indistinguishable if it is a human or computer on the other side, the behavior could be determined as “intelligent”, even if it is just an imitation game without any awareness on the computer’s side. And we remember: Even an Artificial Neural Network is only orienting on its natural role model, but is not truly comparable to one. Every intelligent outcome a computer provides is based on the training data given. As mentioned previously regarding the training data one can assess: The more relevant data, the better. This is where the field of AI is related to Data Science. Even the best software-code in the world is worth nothing without sufficient data to learn from it.
Artificial Intelligence is a part of Data Science![]()
-- Inserted here: calculated crystals --
........
A relaxed ZrTl4S4 crystal. Source: the Materials Project, functional PBE.

The structure in CIF format:
```
data_ZrTl4S4
_space_group_name_H-M_alt 'P -1'
_space_group_IT_number 2
_cell_length_a 9.281
_cell_length_b 9.281
_cell_length_c 15.859
_cell_angle_alpha 104.08
_cell_angle_beta 104.79
_cell_angle_gamma 90.04
loop_
_space_group_symop_operation_xyz
'x,y,z'
'-x,-y,-z'
loop_
_atom_site_label
_atom_site_type_symbol
_atom_site_fract_x
_atom_site_fract_y
_atom_site_fract_z
Zr1 Zr 0.000 0.000 0.000
Zr2 Zr 0.016 0.182 0.600
Zr3 Zr 0.174 0.809 0.199
Tl1 Tl 0.042 0.578 0.800
Tl2 Tl 0.212 0.216 0.401
Tl3 Tl 0.213 0.585 0.595
Tl4 Tl 0.219 0.395 0.993
Tl5 Tl 0.219 0.958 0.797
Tl6 Tl 0.373 0.601 0.388
Tl7 Tl 0.383 0.198 0.191
Tl8 Tl 0.390 0.787 0.003
Tl9 Tl 0.411 0.971 0.600
Tl10 Tl 0.420 0.393 0.797
S1 S 0.063 0.555 0.403
S2 S 0.069 0.898 0.577
S3 S 0.075 0.736 0.022
S4 S 0.087 0.077 0.177
S5 S 0.092 0.239 0.776
S6 S 0.240 0.543 0.194
S7 S 0.249 0.887 0.376
S8 S 0.269 0.071 0.997
S9 S 0.282 0.255 0.604
S10 S 0.438 0.882 0.198
```

Computed properties:
formation energy from the elements = -9.073 eV/f.u.

* * * * *

The following is a PBE-GGA calculation of a geometry-optimized Na6TiZn3P4S2O24 structure, from the Materials Project database.

Geometry as extended XYZ:
```
120
Lattice="8.9553 0.0000 0.0000 -4.4771 7.7668 0.0000 -0.0514 -0.1052 21.8964" Properties=species:S:1:pos:R:3 pbc="T T T"
Na 0.0000 0.0000 0.0000
Na -2.9131 5.0160 5.4043
Na -1.2077 2.0930 11.1111
Na -4.0375 7.5802 7.3891
Na -1.1420 2.5975 18.3695
Na -1.7648 7.4591 18.3172
Na 0.0106 4.5986 7.3919
Na -0.0545 5.0613 14.6277
Na 1.6222 2.2636 20.1497
Na 1.7151 2.4069 9.3244
Na 0.3457 5.0192 0.0813
Na 1.4771 7.5305 12.7762
Na 1.4707 7.6383 1.8501
Na 3.2268 4.6345 18.3070
Na 4.4488 2.6806 7.3348
Na 7.3168 2.4790 3.6569
Na 4.5767 7.2898 14.6330
Na 6.0630 4.8440 16.4307
Ti 1.6811 2.3384 1.6577
Ti 1.6306 7.4531 16.0790
Ti 1.7232 7.5105 5.0729
Zn -2.7726 4.9964 2.3033
Zn -2.7426 4.9686 19.9564
Zn 1.5780 2.3212 16.6922
Zn 1.6367 2.4016 5.8004
Zn 1.7154 2.3204 12.7232
Zn 1.6690 7.4802 9.5424
Zn 1.5710 7.5467 20.5397
Zn 6.0393 4.8890 8.9277
Zn 6.0462 4.8684 13.2729
P -1.4643 2.6538 0.1589
P -1.1011 2.2962 14.7109
P 0.3435 0.0542 3.8193
P -1.4978 7.3379 0.1268
P 2.9852 0.0133 14.7561
P 0.3428 4.6952 3.7969
P 0.3169 5.1961 18.3777
P 4.2936 2.3468 3.8530
P 2.9515 4.6264 14.7706
P 2.9261 5.2639 7.4042
P 7.4262 2.0387 7.4231
P 4.2348 7.4746 18.3831
S -4.1753 7.2620 11.0532
S -0.1804 4.9361 11.0466
S -0.9484 7.5342 7.4000
S 4.7744 1.9820 18.3402
S 4.7438 2.5949 11.0215
S 3.4684 4.9108 0.1161
O -3.6130 6.4219 3.6001
O -1.9778 3.5500 14.5578
O -3.6789 6.6129 9.7996
O -1.6858 3.4095 20.7632
O -0.2370 1.9652 13.4718
O 0.6325 1.0434 2.6024
O 0.8743 0.6619 5.1132
O -0.2584 2.5533 15.9826
O 0.0064 2.1860 7.3095
O 0.6770 0.9437 18.2590
O 0.8981 0.8658 11.0987
O 0.1380 2.5444 0.3085
O -1.1710 4.8399 3.6283
O -2.0734 6.3446 14.6161
O -2.2556 6.7772 20.6996
O -1.0278 4.7825 9.8069
O -1.2365 5.0998 18.3506
........
Methods and problems
For Deep Learning we are data-wise not talking about a bare minimum of around 1,000 examples, but rather around 100,000 to 1,000,000 examples to learn from. We are now getting into Big Data spheres in the field of Data Science. This term is also connected to the field of Artificial Intelligence in the way of AI being a part of Data Science. Since one cannot always offer this amount of data, the principle of heuristics can be pulled up. This method uses the information it has and estimates an outcome for the next step based on that. Taking chess-playing as a popular example, the program has the value and position of all figures as input and therefore can predict possible outcomes like losing a figure or winning the game. Despite this is often enough to solve a problem, it is no precise solution. The human brain uses the concept of heuristics daily, hence this is another aspect, where nature as role model can be noticed.
Besides self-driving cars and image processing of oranges and apples as an example, the state-of-the-art applications are already integrated in our daily lives. For instance, in streaming services each personal recommendation is based on AI-driven algorithms using your data. Here, another example that can be added to the picture processing of our fruit salad: The nearest neighbor classification. Here, the habits of each user are tracked: What kind of movies or series did he or her watch and how did he or her rate them? And now the algorithm compares all users to each other, assuming that people having similar consuming habits might like the same kind of content. For both applications one thing is sure: There is a huge amount of data needed – the more, the better. Hence, the less training data is available the worse is the software’s performance, which is is considered as huge problem for many applications.
Hunger for more knowledge
If you want to learn more about Artificial Intelligence and do some research on Artificial Intelligence, we can recommend a free and open AI online course developed by the University of Helsinki. It is the AI researchers’ aim to educate at least 1% of the world’s society about Artificial Intelligence.